HIV Counselor
Attached: calculated molecules:
........
35
Properties=species:S:1:pos:R:3:forces:R:3 method="wB97M-V/def2-TZVPD" largest_force_ev_per_a=0.78 homo_ha=-0.35164 molar_mass_g_mol=241.3 spin_multiplicity=1 orbital_gap_ev=10.311 charge=0 smiles="COCCCCCCCN(C)S(=O)(=O)F"
C 1.975 1.384 2.511 -0.1 0.1 -0.1
O 2.579 0.115 2.657 0.0 -0.1 0.1
C 2.146 -0.861 1.732 0.1 0.0 0.1
C 0.741 -1.367 2.011 -0.1 0.0 0.0
C 0.320 -2.519 1.083 0.1 0.0 0.2
C -1.148 -2.534 0.648 0.0 -0.1 0.1
C -1.515 -1.799 -0.639 -0.1 0.1 0.0
C -1.584 -0.259 -0.623 0.1 -0.1 -0.1
C -0.502 0.386 -1.485 -0.3 0.1 0.1
N -0.843 1.797 -1.801 0.6 0.1 -0.4
C -1.407 1.982 -3.157 -0.2 0.0 0.3
S 0.285 2.921 -1.420 -0.3 -0.3 0.4
O 1.610 2.404 -1.403 -0.1 0.1 -0.1
O -0.045 4.146 -2.050 0.0 0.0 -0.1
F -0.083 3.096 0.101 0.1 0.0 -0.1
H 1.475 1.671 3.439 0.0 0.0 0.0
H 1.235 1.388 1.709 0.0 0.0 0.0
H 2.736 2.128 2.270 0.0 0.0 0.0
H 2.859 -1.680 1.834 0.0 0.0 -0.1
H 2.221 -0.478 0.705 0.0 0.0 0.0
H 0.029 -0.538 1.960 0.0 0.0 -0.1
H 0.723 -1.723 3.043 -0.1 0.1 0.1
H 0.970 -2.568 0.203 0.0 0.1 -0.1
H 0.498 -3.448 1.628 0.1 0.0 -0.1
H -1.433 -3.577 0.490 0.0 0.0 0.0
H -1.771 -2.182 1.476 0.0 0.0 0.0
H -0.828 -2.122 -1.429 0.0 0.0 0.0
H -2.499 -2.167 -0.937 0.0 0.0 -0.1
H -2.542 0.051 -1.043 0.0 0.1 0.1
H -1.536 0.132 0.395 0.0 0.1 0.0
H -0.444 -0.152 -2.432 0.1 0.0 0.0
H 0.479 0.326 -1.017 0.1 0.0 0.0
H -1.932 2.930 -3.209 0.0 0.0 0.0
H -0.650 1.943 -3.943 0.0 -0.1 0.0
H -2.118 1.174 -3.307 -0.1 0.0 0.0

***

37
Properties=species:S:1:pos:R:3:forces:R:3 method="wB97M-V/def2-TZVPD" largest_force_ev_per_a=16.06 homo_ha=0.04796 molar_mass_g_mol=440.8 spin_multiplicity=1 orbital_gap_ev=3.551 charge=-2
Hg 1.627 0.602 -0.194 -2.4 1.1 -2.1
C 4.988 1.263 -0.380 1.1 -2.0 0.7
C 4.117 2.404 -0.054 -1.0 2.1 0.8
O 2.835 2.375 -0.524 0.2 -0.4 -0.4
H 5.973 1.266 0.178 -0.8 0.2 -0.5
H 5.192 1.157 -1.433 0.0 0.0 -0.6
H 4.441 0.340 -0.042 0.5 0.6 -0.3
H 4.538 3.391 -0.419 0.3 -0.6 0.4
H 4.081 2.432 1.060 0.4 0.3 0.1
C -0.068 -0.522 3.417 -0.4 1.2 0.6
C 1.178 -0.735 2.601 0.5 -0.8 -2.9
O 0.922 -0.817 1.157 -0.1 -1.0 3.3
H -0.735 -1.334 3.262 -0.6 -1.0 -0.1
H -0.688 0.379 3.115 1.1 -0.7 0.3
H 0.196 -0.489 4.509 -0.3 0.1 -0.7
H 1.707 -1.690 2.912 -0.5 0.6 0.1
H 1.887 0.062 2.757 0.4 0.5 0.5
C -2.329 4.098 0.400 6.9 -13.9 4.1
O -1.790 2.995 0.737 -3.7 6.8 -2.1
O -0.276 0.782 -1.470 1.5 -0.4 0.7
O -2.731 5.095 0.182 -3.2 7.0 -1.9
C -3.359 -0.923 1.138 0.0 1.0 -0.8
O -3.362 -0.875 -0.284 -1.1 0.1 0.9
C -2.268 -1.535 -0.878 1.9 1.0 -0.4
C -2.652 -1.824 -2.286 -1.1 0.5 -1.5
O -1.718 -2.486 -3.121 -0.3 -0.5 0.2
C -0.643 -1.641 -3.554 -1.0 -0.6 0.5
H -3.705 -1.890 1.494 -0.5 -0.2 0.2
H -3.912 -0.040 1.550 -0.1 -0.9 -0.5
H -2.368 -0.791 1.514 1.0 0.0 0.2
H -2.025 -2.470 -0.381 0.1 -0.3 0.4
H -1.389 -0.820 -0.967 -0.1 -0.3 0.6
H -2.923 -0.854 -2.786 0.1 -0.5 0.5
H -3.552 -2.451 -2.256 -0.1 -0.1 -0.3
H 0.097 -1.666 -2.780 0.4 1.0 0.5
H -1.098 -0.664 -3.765 0.9 0.1 0.1
H -0.187 -2.125 -4.405 -0.1 -0.1 -0.7

***

44
........
Back to the piece:
PERSPECTIVES Volume 16 Number 3 July 2007
Severe mental illness There is a higher prevalence of HIV among people who live with severe mental illness than in the general population, which suggests that these people may be at increased risk for HIV infection. This issue of PERSPECTIVES explores the reasons for this elevated prevalence, including how sexual and drug use behaviors may be influenced by these mental health conditions. In addition, PERSPECTIVES discusses the role social settings and sexual networks play in elevating HIV risk for this group. The Implications for Counseling section highlights the significant yet limited role of HIV test counselors in serving this population, and offers strategies for conducting successful sessions.
Research Update People with severe mental illness make up about 2.6 percent of the U.S. population.1 These individuals live with psychiatric disorders that cause a serious and continuing impact on their daily lives. Among the challenges people with severe mental illness face is an extremely high HIV prevalence—estimated at 3.1 percent, or eight times the national average.2 HIV prevalence estimates from some studies are even higher, with the highest reaching 23 percent.1 While the topic of HIV and serious mental illness has been relatively understudied, researchers offer a number of theories to explain this heightened prevalence. People with severe mental illness are more likely than others to engage in sexual and injection practices that transmit HIV.1 Reasons for this may include lack of knowledge about HIV transmission and prevention, a lack of motivation to engage in safer practices, or a lack of the behavioral skills to engage in prevention practices.1,3,4 However,
# Here the text breaks off for quantum chemistry results
+++
{"formula": "C42H50FGeNO4STi", "method": "wB97M-V/def2-TZVPD", "elements": ["Ge", "Ti", "S", "F", "O", "O", "O", "O", "N", "C", "C", "C", "C", "C", "C", "C", "C", "C", "C", "C", "C", "C", "C", "C", "C", "C", "C", "C", "C", "C", "C", "C", "C", "C", "C", "C", "C", "C", "C", "C", "C", "C", "C", "C", "C", "C", "C", "C", "C", "C", "C", "H", "H", "H", "H", "H", "H", "H", "H", "H", "H", "H", "H", "H", "H", "H", "H", "H", "H", "H", "H", "H", "H", "H", "H", "H", "H", "H", "H", "H", "H", "H", "H", "H", "H", "H", "H", "H", "H", "H", "H", "H", "H", "H", "H", "H", "H", "H", "H", "H", "H"], "positions_angstrom": [[0.2235, -0.5444, -3.7062], [0.2693, -0.0725, 0.7362], [1.0781, -1.5058, -1.1257], [-1.4116, -0.2250, -1.2103], [0.4087, -1.8365, 0.1977], [2.3508, -2.0800, -1.2808], [0.1545, -1.8383, -2.2155], [1.1188, -0.0047, -0.9312], [-1.4453, 0.1632, 1.3331], [-2.5897, -1.8799, 5.0515], [-3.9127, -0.1451, 1.3758], [1.8330, 3.0226, 2.0238], [-3.4796, -2.0231, -5.1604], [-1.4589, 2.9301, 3.7777], [4.2622, -2.0880, 0.7372], [-2.6570, -0.1582, 0.7506], [-2.4884, 0.4031, -4.2538], [1.4661, 0.6737, 3.7748], [3.1323, 1.5442, 0.4652], [-2.6373, -0.5039, -0.6012], [-0.7801, -2.2010, 3.3736], [-4.9336, -1.0393, -0.6270], [3.6834, 0.3004, 0.1062], [1.9348, 0.4844, 2.3376], [4.0393, -0.8045, -5.5034], [3.4721, -0.8256, 0.9211], [-1.4936, 0.8494, 2.5781], [-3.7216, -0.9596, -1.3046], [-1.5850, 2.2416, 4.9702], [2.6114, -0.7404, 2.0273], [2.6092, -1.8989, 2.9853], [-3.0061, 3.3204, 0.9727], [-5.0231, -0.6000, 0.6868], [4.5166, 0.1601, -1.1302], [-2.0064, -1.3537, 3.7413], [-4.2929, -0.9020, -5.1442], [-3.8033, 0.3084, -4.6786], [-1.5169, 3.1156, 1.3004], [-2.1682, -1.9325, -4.7233], [1.7793, -1.1581, -4.7607], [3.5595, 2.8003, -0.2472], [-0.7732, 2.6528, 0.0271], [-1.6615, -0.7167, -4.2770], [-1.7107, 0.1388, 3.7810], [-1.4320, 2.2577, 2.5554], [1.7014, -2.2989, -5.5544], [3.9632, -1.9525, -6.2758], [-1.7307, 0.8632, 4.9684], [2.9505, -0.4062, -4.7468], [2.7938, -2.6940, -6.3078], [2.2499, 1.6466, 1.5549], [-4.4484, 1.1732, -4.6536], [0.4288, 0.8571, -3.0737], [-1.4840, 2.2250, -0.6844], [-5.9764, -0.6160, 1.1907], [2.9919, 0.5016, -4.1550], [0.0408, 1.9084, 0.2275], [1.6860, 3.7035, 1.1889], [4.8065, -2.0987, -0.1959], [3.6831, 3.6225, 0.4535], [4.2117, -0.7449, -1.6542], [2.8214, 3.0893, -0.9942], [5.5761, 0.0724, -0.8880], [4.9466, -0.2187, -5.5008], [-1.1249, 4.0988, 1.5810], [0.8291, -0.1303, 4.1320], [0.9355, 1.6073, 3.9331], [-3.1134, 4.0159, 0.1444], [2.6297, 3.4311, 2.6507], [-1.0912, -3.2366, 3.2466], [-3.6191, -1.2268, -2.3435], [2.3558, 0.7007, 4.4100], [-5.8113, -1.4100, -1.1331], [-2.0890, 1.3505, -3.9078], [-3.8644, -2.9615, -5.5260], [2.0889, -1.6917, 3.9107], [3.6105, -2.9586, 0.7392], [-1.8784, 0.3578, 5.9068], [4.9761, -2.1966, 1.5539], [-0.0568, -2.1806, 4.1855], [0.7836, -2.8713, -5.5941], [-2.8650, -2.9227, 4.9296], [-2.7587, -1.5224, 2.9608], [4.5148, 2.6650, -0.7390], [4.8180, -2.2695, -6.8538], [-0.3204, 3.5211, -0.4562], [-3.4823, 2.3801, 0.6989], [4.3811, 0.9982, -1.8058], [-1.4053, 4.0097, 3.7895], [-3.5291, 3.7359, 1.8308], [-1.8656, -1.8228, 5.8593], [-5.3082, -0.9685, -5.4982], [-1.6082, 2.7823, 5.9043], [2.1812, -2.7886, 2.5224], [-3.4807, -1.3286, 5.3345], [3.6395, -2.1376, 3.2490], [0.9218, 3.0188, 2.6154], [-1.5302, -2.8063, -4.7208], [-4.0142, 0.2360, 2.3806], [-0.3086, -1.8646, 2.4318], [2.7330, -3.5753, -6.9279]], "mulliken_charge": [1.05, -1.67, 0.75, 0.73, -0.40, -0.64, -0.27, 0.75, 1.78, -2.12, -0.45, -1.99, -0.78, -0.20, -2.11, -0.14, -0.30, -2.07, 0.66, 0.71, -1.25, -0.97, 2.07, 0.27, -0.68, 0.70, 0.22, -0.75, -1.47, 1.83, -2.31, -1.56, -1.08, -2.68, 1.10, -0.62, -0.56, 0.09, -0.25, 0.44, -2.37, -1.15, 0.43, -0.20, -0.45, -0.40, -0.51, -0.33, -0.39, -0.74, 1.50, 0.45, -0.28, 0.29, 0.47, 0.43, 0.12, 0.69, 0.50, 0.43, 0.57, 0.41, 0.38, 0.42, 0.94, 0.32, 0.44, 0.45, 0.49, 0.62, 0.41, 0.48, 0.50, 0.39, 0.44, 0.45, 0.37, 0.51, 0.41, 0.32, 0.24, 0.44, 0.12, 0.48, 0.41, 0.52, 0.31, 0.51, 0.54, 0.40, 0.47, 0.45, 0.47, 0.37, 0.45, 0.54, -0.12, 0.31, 0.54, 0.51, 0.44], "homo_ev": -13.89, "total_charge": 2}
+++
# Back to the text
elevated rates of HIV risk behaviors do not fully explain elevated HIV prevalence. Even among people with severe mental illness who engage in the same level of risk behaviors as others, HIV prevalence is still twice that of the general population.2 This suggests that aspects of life besides behavior, such as membership in a highprevalence sexual network, increase risk for contracting HIV.1 Despite high prevalence rates, many individuals with severe mental illness have not been tested for HIV. One study of 150 people, half of whom had a recent experience of homelessness, found that half of the participants who engaged in HIV risk behaviors had not been tested in the past year.5 Specifically, people with psychotic disorders were less likely to have tested, possibly due to their providers’ misconception that people with schizophrenia do not have sex. Psychiatric symptoms and the medications used to treat them may also have a blunting effect on a client’s perceptions of pain, physical ailments, and the need for medical attention,6 perhaps including the need to test for HIV.
The Spectrum of Mental Illness The impact of a mental illness on a person’s life can range from relatively mild to quite disabling. Part of what determines the severity of this impact is the type of condition itself and its characteristic symptoms. For example, a disorder such as schizophrenia usually involves a history of hallucinations (the perception of something, such as a voice or a person, that does not actually exist), or delusions (a fixed, false belief, such as the belief that one is president). Because of these severe symptoms, and because psychosocial impairment is a central part of the diagnosis of the disorder, schizophrenia impairs daily life more than a disorder that results in moderate anxiety in social situations. Inside PERSPECTIVES 1 Research Update 5 Implications for Counseling 7 Case Study 8 Test Yourself 8 Using PERSPECTIVES